St Erme Neighbourhood Plan Newsletter No 4 J u l y 2 0 1 7

Date For Your Diary

Visit the St Erme Neighbourhood Plan Stand at the Fun Fest St Erme Cricket Field Thursday 27th July 2017 6.30pm to 10.30pm Saturday 29th July 2017 1.00pm to 5.30pm This is YOUR parish have YOUR say

Progress so far:

********
DFT (GGA-PBE) results for a geometry-optimized BaOs2Pb structure.

Unit cell a=5.321 b=5.321 c=3.211 alpha=90.00 beta=90.00 gamma=103.67
Positions (direct):
1 Ba 0.000 0.500 0.500
2 Os 0.000 0.000 0.000
3 Os 0.500 0.500 0.000
4 Pb 0.500 0.000 0.500

Results
The value obtained for the energy is -22.2 eV per cell. For the calculated density, the calculation gives 13.63 g/cm³.



DFT (GGA-PBE) results for a geometry-optimized BaOsPb2 structure.

Unit cell a=6.526 b=6.526 c=6.526 alpha=149.20 beta=124.85 gamma=64.51
Positions (direct):
1 Pb 0.551 0.551 0.000
2 Pb 0.949 0.949 0.000
3 Os 0.750 0.250 0.500
4 Ba 0.250 0.750 0.500

Results
The value obtained for the energy is -19.3 eV per cell. For the calculated density, the calculation gives 10.66 g/cm³.



DFT (GGA-PBE) results for a geometry-optimized BaOsPb2 structure.

Unit cell a=6.078 b=6.078 c=9.404 alpha=71.15 beta=71.15 gamma=90.00
Positions (direct):
1 Pb 0.943 0.625 0.250
2 Ba 0.250 0.750 0.500
3 Pb 0.375 0.193 0.750
4 Pb 0.807 0.125 0.250
5 Os 0.000 0.000 0.000
6 Pb 0.875 0.057 0.750
7 Ba 0.500 0.500 0.000
8 Os 0.750 0.250 0.500

Results
The value obtained for the energy is -37.3 eV per cell. For the calculated density, the calculation gives 7.97 g/cm³.



DFT (GGA-PBE) results for a geometry-optimized BaOsPb2 structure.

Unit cell a=6.163 b=6.163 c=3.266 alpha=90.00 beta=90.00 gamma=117.03
Positions (direct):
1 Pb 0.500 0.500 0.000
2 Ba 0.500 0.000 0.500
3 Pb 0.000 0.000 0.000
4 Os 0.000 0.500 0.500

Results
The value obtained for the energy is -17.3 eV per cell. For the calculated density, the calculation gives 11.15 g/cm³.



- calculated density of number 4 (BaOsPb2)?
  11.15 g/cm³



Copy entry 1 word for word.
DFT (GGA-PBE) results for a geometry-optimized BaOs2Pb structure.

Unit cell a=5.321 b=5.321 c=3.211 alpha=90.00 beta=90.00 gamma=103.67
Positions (direct):
1 Ba 0.000 0.500 0.500
2 Os 0.000 0.000 0.000
3 Os 0.500 0.500 0.000
4 Pb 0.500 0.000 0.500

Results
The value obtained for the energy is -22.2 eV per cell. For the calculated density, the calculation gives 13.63 g/cm³.



- What is the formula in the third record?
********

In the last newsletter, number 3, we explained the work being done by the Steering Group with the Local Landscape Character Assessment which was explained in detail at the Consultation event in February together with the Housing Survey. There is a need to confirm and check the information that we have gathered over the last 20 months and the Steering Group has been at work. A second Consultation Questionnaire was completed in June. 648 forms were delivered by volunteers by 31st May and 3 weeks were allowed for response. The forms could be sent to the Parish Clerk, sent on-line or handed in at Trispen Stores.

<<<
Entry from the Alexandria database: a crystal of La5Au3 relaxed with PBEsol (meta-GGA SCAN).

Unit cell a=8.7775 b=8.7775 c=6.8364 alpha=90.00 beta=90.00 gamma=120.00
Space group P6_3/mcm (No. 193)
Inequivalent atoms, fractional coordinates:
La: 0.0000 0.2431 0.2500 (multiplicity 6)
La: 0.3333 0.6667 0.0000 (multiplicity 4)
Au: 0.0000 0.3965 0.7500 (multiplicity 6)

ρ in g/cm³: 9.4
Size of the total moment in μB per formula unit: 0.0
Electronic total energy in eV for the cell shown: -859.026

* * * * *

ReTeIr: optimized geometry, GGA-PBEsol.

Values from the calculation:
raw formation energy = 0.921 eV per atom
SG = No. 216

Unit cell a=4.3473 b=4.3473 c=4.3473 alpha=60.00 beta=60.00 gamma=60.00
Each line ends with the local moment (μB).
Atoms (fractional coordinates):
Ir  0.2500  0.2500  0.2500  0.07
Te  0.5000  0.5000  0.5000  0.01
Re  0.0000  0.0000  0.0000  0.52

Re2TeIr: optimized geometry, GGA-PBEsol.

Values from the calculation:
raw formation energy = 0.631 eV per atom
SG = No. 10

Unit cell a=2.8627 b=4.1142 c=5.6473 alpha=90.00 beta=102.53 gamma=90.00
Atoms (fractional coordinates):
Te  0.5000  0.5000  0.0000
Re  0.8944  0.0000  0.2754
Re  0.1056  0.0000  0.7246
Ir  0.5000  0.5000  0.5000

Re2TeIr: optimized geometry, GGA-PBEsol.

Values from the calculation:
raw formation energy = 0.624 eV per atom
SG = No. 166

Unit cell a=2.9262 b=2.9262 c=8.7361 alpha=80.36 beta=80.36 gamma=60.00
Atoms (fractional coordinates):
Re  0.2511  0.2511  0.2466
Re  0.7489  0.7489  0.7534
Ir  0.0000  0.0000  0.0000
Te  0.5000  0.5000  0.5000

ReTeIr2: optimized geometry, GGA-PBEsol.

Values from the calculation:
raw formation energy = 0.639 eV per atom
SG = No. 71

Unit cell a=2.9163 b=4.6938 c=5.4001 alpha=115.76 beta=105.67 gamma=90.00
Atoms (fractional coordinates):
Re  0.0000  0.5000  0.0000
Ir  0.7538  0.7538  0.5076
Ir  0.2462  0.2462  0.4924
Te  0.5000  0.0000  0.0000

Ti2ReIr: optimized geometry, GGA-PBEsol.

Values from the calculation:
SG = No. 225
energy relative to the elements = -0.759 eV/atom

Unit cell a=4.3449 b=4.3449 c=4.3449 alpha=60.00 beta=60.00 gamma=60.00
Atoms (fractional coordinates):
Ti  0.2500  0.2500  0.2500
Ti  0.7500  0.7500  0.7500
Ir  0.5000  0.5000  0.5000
Re  0.0000  0.0000  0.0000

TlReIr2: optimized geometry, GGA-PBEsol.

Values from the calculation:
SG = No. 12
energy relative to the elements = 0.511 eV/atom

Unit cell a=2.8115 b=4.7922 c=4.9573 alpha=97.62 beta=90.00 gamma=107.06
Atoms (fractional coordinates):
Re  0.5000  0.0000  0.0000
Ir  0.2424  0.4847  0.2269
Ir  0.7576  0.5153  0.7731
Tl  0.0000  0.0000  0.5000

TlRe2Ir: optimized geometry, GGA-PBEsol.

Values from the calculation:
SG = No. 123
energy relative to the elements = 0.625 eV/atom

Unit cell a=2.7792 b=2.7792 c=8.2591 alpha=90.00 beta=90.00 gamma=90.00
Atoms (fractional coordinates):
Tl  0.5000  0.5000  0.0000
Re  0.0000  0.0000  0.2728
Re  0.0000  0.0000  0.7272
Ir  0.5000  0.5000  0.5000

TlRe2Ir: optimized geometry, GGA-PBEsol.
>>>

620 forms went to households,16 to parish organisations and 12 to local businesses. The response was excellent and 203 questionnaires came in and the evidence is of a wide range of ages and time in the parish. In general there was agreement with the existing issues raised by parishioners but some interesting comments were made. Housing and Highways were expected to provoke thought and there are several matters that we shall need to research with Council. The possibility of local industry in the parish, the possibility of a cycle route to and the retail position also attracted feedback.

The Way Forward It has taken some time to carefully record all the responses and the details will be available at the Fun Fest where the Steering Group will have a stand. We will welcome the chance to show a summary of the Questionnaire responses and the final report from the Local Landscape Character Assessment and discuss matters further. There will be further questions and areas for you to comment on at the Fun Fest to clarify some of the responses received, these will also be available on the council’s website from 29th July 2017.This is an important part of the process that we gather the views of the public and give everyone a chance to have their say. Once this is done we will review all our evidence and start writing the policies and build up to the pre- submission consultation, which gets us closer to a local referendum. There will be further newsletters and an update at the Council Precept Meeting in November to which the public are invited.

_The piece is interrupted by data records_
'''
GaRe2Si2 (PBE, optimized geometry); formation energy (no corrections) = -0.10 eV per atom; uncorrected energy = -7.857 eV per atom
1.0
-1.694 1.694 6.438
1.694 -1.694 6.438
1.694 1.694 -6.438
Ga Re Si
1 2 2
Direct
0.000 0.000 0.000
0.390 0.390 0.000
0.610 0.610 0.000
'''
_Back to the piece_

St Erme Neighbourhood Plan

The next stages: The latest information on the Building the Evidence Base progress of Review existing evidence Neighbourhood Plans in Cornwall is shown below

Neighbourhood Planning in Cornwall Writing the Plan Policies and proposals 97 Designated Areas This includes 5 cluster Neighbourhood Plans where two or more parishes are working together.

20 Pre-Submission Consultations held Pre-Submission Consultation , Quethiock, Roseland Peninsula, St Ives, 6 weeks consultation -Stratton, Parishes, Rame Peninsula, Roche, Mevagissey, Gwinear-Gwithian, Feock, , North Hill, South Hill, St Erth, , Falmouth, Lanlivery, Lanreath, St Mewan

Submission to 15 Plan Proposals Submitted 6 weeks consultation St Eval, Quethiock, Roseland Peninsula, St Ives, Truro and Kenwyn, St Minver Parishes, Bude- Stratton, Roche, Rame Peninsula, Gwinear- Gwithian, North Hill, South Hill, Lanreath, Feock,


Independent Examination Examinations held LPA appoints an examiner 11 St Eval, Quethiock, Roseland Peninsula, St Ives, Examination takes place Truro and Kenwyn, St Minver Parishes, Roche, Examiners Report Bude-Stratton, Rame Peninsula, Gwinear – Gwithian, North Hill

9 Referendums held St Eval, Quethiock, Roseland Peninsula, St Ives, Truro & Kenwyn, Bude – Stratton, Rame Referendum Peninsula, St Minver Parishes, Roche Referendum for St Erme Parish 9 Adopted Plans St Eval, Quethiock, Roseland Peninsula, St Ives, Truro and Kenwyn, Bude – Stratton, Rame Peninsula, Roche, St Minver Parishes.

There is more information about St Erme Neighbourhood Plan Neighbourhood Plans on Cornwall Council’s website

Contact Details: The Members of the Steering Group:

Sally Trethewey (Clerk) Cllr Robert Trethewey BEM St Erme Parish Council Michael Edwards Tel: 07525130663 Richard Kerswell Email: [email protected] Marie Wills. Cllr Phil Jones Website: Cllr Colin Pound Clive Grose Cllr Phil Hodgkinson